Eclipse Plug-in Development:Beginner's Guide(Second Edition)

Time for action – propagating selection

When the user selects an item in a viewer component, any registered selection listeners will be notified. In order to forward changes to the E4 selection service, a listener needs to be created to forward the selection to the ESelectionService.

  1. Add the required packages to the bundle's package imports, by right-clicking on the com.packtpub.e4.clock.ui project and navigating to Plug-in Tools | Open Manifest to open the bundle's manifest. On the Dependencies tab, click on Add under the Imported Packages section and enter org.eclipse.e4.ui.workbench.modeling as well as org.eclipse.e4.core.di.annotations.
  2. In order to forward selection changes to the E4 selection service, it must be injected into the view. Add a field ESelectionService selectionService annotated with @Inject and @Optional. When the part is created, the field will be filled with a selection service instance or null as appropriate:
    private ESelectionService selectionService;
  3. The selection changed event needs to trigger finding the selected object, then forwarding that on to the selection service. Add an ISelectionChangeListener to the treeViewer with the following:
    treeViewer.addSelectionChangedListener(event -> {
      // forward selection
      Object selection = ((IStructuredSelection)event.getSelection()).
      if (selection != null && selectionService != null) {
  4. Test the application by putting a breakpoint in the stSelection method, and launch the Eclipse application in Debug mode. Once it is running, open the Time Zone Tree View and select a time zone, after which the debugger should be presented. Verify that the selected time zone and the selectionService have been injected correctly.

What just happened?

Unrelated to this page: calculated crystals:
┌──
This record from Alexandria via LeMat-Bulk describes TaCoHg at its PBEsol-relaxed geometry. The functional is meta-GGA SCAN.

Cell and atoms, written as CIF:
```
data_TaCoHg
_cell_length_a 4.3918
_cell_length_b 4.3918
_cell_length_c 2.7887
_cell_angle_alpha 90.00
_cell_angle_beta 90.00
_cell_angle_gamma 120.00
_space_group_name_H-M_alt 'P 3 m 1'
_space_group_IT_number 156
_space_group_name_Hall 'P 3 -2"'
loop_
_atom_site_label
_atom_site_fract_x
_atom_site_fract_y
_atom_site_fract_z
_atom_site_occupancy
Ta1 0.0000 0.0000 0.0000 1
Co1 0.6667 0.3333 0.3553 1
Hg1 0.3333 0.6667 0.5082 1
```

Summary:
energy above the lowest structure with this stoichiometry	0.0000	eV/atom
ΔH_f (0 K)	35.69	kJ/mol of atoms
Fermi-level density of states	2.34	states/eV/cell

***

This record from Alexandria via LeMat-Bulk describes CoTcHg at its PBEsol-relaxed geometry. The functional is meta-GGA SCAN.

Cell and atoms, written as CIF:
```
data_CoTcHg
_cell_length_a 2.764
_cell_length_b 2.764
_cell_length_c 11.376
_cell_angle_alpha 90.00
_cell_angle_beta 90.00
_cell_angle_gamma 90.00
_space_group_name_H-M_alt 'I 4 m m'
_space_group_IT_number 107
_space_group_name_Hall 'I 4 -2'
loop_
_atom_site_label
_atom_site_fract_x
_atom_site_fract_y
_atom_site_fract_z
_atom_site_occupancy
Co1 0.000 0.000 0.000 1
Tc1 0.000 0.000 0.373 1
Hg1 0.000 0.000 0.677 1
```

Summary:
ΔH_f (0 K)	38.75	kJ/mol of atoms
Fermi-level density of states	4.53	states/eV/cell

***

This record from Alexandria via LeMat-Bulk describes Co2TcHg at its PBEsol-relaxed geometry. The functional is meta-GGA SCAN.

Cell and atoms, written as CIF:
```
data_Co2TcHg
_cell_length_a 6.022
_cell_length_b 6.022
_cell_length_c 6.022
_cell_angle_alpha 90.00
_cell_angle_beta 90.00
_cell_angle_gamma 90.00
_space_group_name_H-M_alt 'F -4 3 m'
_space_group_IT_number 216
_space_group_name_Hall 'F -4 2 3'
loop_
_atom_site_label
_atom_site_fract_x
_atom_site_fract_y
_atom_site_fract_z
_atom_site_occupancy
Co1 0.000 0.000 0.000 1
Co2 0.250 0.250 0.250 1
Tc1 0.250 0.250 0.750 1
Hg1 0.000 0.000 0.500 1
```

Summary:
ΔH_f (0 K)	69.53	kJ/mol of atoms
Fermi-level density of states	16.05	states/eV/cell

***

This record from Alexandria via LeMat-Bulk describes Co2TcHg at its PBEsol-relaxed geometry. The functional is meta-GGA SCAN.

Cell and atoms, written as CIF:
```
data_Co2TcHg
_cell_length_a 2.709
_cell_length_b 4.423
_cell_length_c 9.043
_cell_angle_alpha 90.00
_cell_angle_beta 90.00
_cell_angle_gamma 90.00
_space_group_name_H-M_alt 'I m m 2'
_space_group_IT_number 44
_space_group_name_Hall 'I 2 -2'
loop_
_atom_site_label
_atom_site_fract_x
_atom_site_fract_y
_atom_site_fract_z
_atom_site_occupancy
Co1 0.000 0.000 0.000 1
Co2 0.000 0.500 0.288 1
Tc1 0.000 0.000 0.548 1
Hg1 0.000 0.500 0.764 1
```

Summary:
ΔH_f (0 K)	45.53	kJ/mol of atoms
Fermi-level density of states	4.83	states/eV/cell

***

This record from Alexandria via LeMat-Bulk describes Co2TcHg at its PBEsol-relaxed geometry. The functional is meta-GGA SCAN.
└──

To receive selection events from the tree viewer, a listener must be registered to pick up changes. In order to forward this to the E4 selection service, it must be obtained using injection. By marking the field with @Inject, the selection service will be automatically injected when the part is created.

By marking the field as @Optional, if the selection service is not available, then a null value will be injected instead. If the field is not marked as @Optional and the service is not available, the part would fail to be created. Since the selection updates aren't a core part of the view's functionality, it is better to fail safely and work with reduced functionality rather than fail completely.

== The article is interrupted by data records ==
┌──
Record 1
Entry from Alexandria: crystalline LaTm2Ag6 at its relaxed geometry (PBE).

Lattice parameters (Å, degrees): 8.2915 8.2915 3.4432 90.00 90.00 120.00
Space group P6/mmm (No. 191)
One atom of each set of equivalent atoms:
La (0.0000, 0.0000, 0.0000)
Tm (0.3333, 0.6667, 0.0000)
Ag (0.0000, 0.3371, 0.5000)

Summary:
- ΔE_f: -0.24 eV per atom

Record 2
Entry from Alexandria: crystalline La2BeCl at its relaxed geometry (PBE).

Lattice parameters (Å, degrees): 7.2585 7.2585 7.2585 90.00 90.00 90.00
Space group F-43m (No. 216)
One atom of each set of equivalent atoms:
La (0.0000, 0.0000, 0.0000)
La (0.2500, 0.2500, 0.2500)
Be (0.0000, 0.0000, 0.5000)
Cl (0.2500, 0.2500, 0.7500)

Summary:
- Polymorph energy (0 for the lowest one): 881 meV/atom

Record 3
Entry from Alexandria: crystalline ScGeAu2I at its relaxed geometry (PBE).

Lattice parameters (Å, degrees): 4.8997 4.8997 5.4353 90.00 90.00 90.00
Space group P4/mmm (No. 123)
One atom of each set of equivalent atoms:
Sc (0.0000, 0.0000, 0.0000)
Ge (0.0000, 0.0000, 0.5000)
Au (0.0000, 0.5000, 0.5000)
I (0.5000, 0.5000, 0.0000)

Summary:
- Calculated total energy: -3.86 eV/atom

Calculated values (A^3/atom) of V for the records, taken in order: 22.8 23.9 26.1.
Calculated values (g cm⁻³) of mass density for the records, taken in order: 9.104 5.598 8.125.

* * * * *

Crystalline CsAcMo2O8 at its relaxed geometry, computed with PBE+U.

abc: 6.3031 6.3031 8.6494
angles: 90.00 90.00 120.00
Fractional positions:
Cs: 0.0000 0.0000 0.0000
Ac: 0.0000 0.0000 0.5000
Mo: 0.3333 0.6667 0.7504
Mo: 0.6667 0.3333 0.2496
O: 0.1764 0.3527 0.6820
O: 0.1764 0.8236 0.6820
O: 0.3333 0.6667 0.9531
O: 0.3527 0.1764 0.3180
O: 0.6473 0.8236 0.6820
O: 0.6667 0.3333 0.0469
O: 0.8236 0.1764 0.3180
O: 0.8236 0.6473 0.3180

## Properties
Symmetry = P-3m1
Volume = 297.6 Å³/f.u.
Raw total energy = -85.06 eV for the cell shown
ρ = 3.8 g cm⁻³

* * * * *

Computed, not measured: a relaxed structure of VCuO2 at the PBE with a Hubbard U level of DFT.

a b c (Å): 2.7914 2.7914 6.1454
angles (deg): 90.00 90.00 120.00
Fractional coordinates of all 4 atoms:
V: 0.0000 0.0000 0.0000
Cu: 0.6667 0.3333 0.5000
O: 0.6667 0.3333 0.1956
O: 0.6667 0.3333 0.8044

Summary:
The total energy is -26.52 eV per cell. The symmetry is P-6m2 (187).

* * * * *

Crystalline TlGaPb3 at its relaxed geometry. Source: Alexandria, functional PBE-GGA.

Structure (CIF):
```
data_TlGaPb3
_chemical_formula_sum 'Tl1 Ga1 Pb3'
_space_group_name_H-M_alt 'P 1'
_space_group_IT_number 1
_cell_length_a 5.910
_cell_length_b 5.910
_cell_length_c 5.910
_cell_angle_alpha 90.00
_cell_angle_beta 90.00
_cell_angle_gamma 90.00
loop_
_space_group_symop_operation_xyz
'x,y,z'
loop_
_atom_site_label
_atom_site_fract_x
_atom_site_fract_y
_atom_site_fract_z
Pb1 0.000 0.500 0.000
Pb2 0.000 0.000 0.500
Pb3 0.500 0.000 0.000
Tl1 0.000 0.000 0.000
Ga1 0.500 0.500 0.500
```

Output
Formation enthalpy at 0 K: 14.86 kcal/mol of atoms
Space-group type: Pm-3m, No. 221
└──
== The data records stop here ==

Finally, when the selection change event occurs, the selected object is extracted from the viewer and then forwarded onto the selection service, but only if both the selection and the selection service are not null.

The page is interrupted by calculated crystals:
Material: Sc12Pt3O5
Method: DFT, PBE-GGA
State: optimized geometry

Output
Its space group is Ia-3d, No. 230. The calculation puts the size of the total moment at 14.7 μB/cell. As for the total DFT energy (no corrections): -7.752 eV per atom. The formation energy from raw total energies comes out at -1.808 eV per atom.

Cell lengths 12.2593, 12.2593, 12.2593 Å; angles 109.47, 109.47, 109.47 degrees
Atoms (fractional coordinates):
Sc 0.0190 0.2038 0.1151
Sc 0.0190 0.3152 0.9038
Sc 0.0887 0.7038 0.6848
Sc 0.0887 0.8849 0.4038
Sc 0.0962 0.6151 0.4113
Sc 0.0962 0.9810 0.6848
Sc 0.1151 0.0190 0.2038
Sc 0.1151 0.5962 0.9113
Sc 0.1848 0.2038 0.5887
Sc 0.1848 0.4810 0.5962
Sc 0.2038 0.1151 0.0190
Sc 0.2038 0.5887 0.1848
Sc 0.2962 0.3152 0.9113
Sc 0.2962 0.4810 0.3849
Sc 0.3152 0.9038 0.0190
Sc 0.3152 0.9113 0.2962
Sc 0.3849 0.2962 0.4810
Sc 0.3849 0.5887 0.9038
Sc 0.4038 0.0887 0.8849
Sc 0.4038 0.8152 0.5190
Sc 0.4113 0.0962 0.6151
Sc 0.4113 0.8152 0.7962
Sc 0.4810 0.3849 0.2962
Sc 0.4810 0.5962 0.1848
Sc 0.5190 0.4038 0.8152
Sc 0.5190 0.6151 0.7038
Sc 0.5887 0.1848 0.2038
Sc 0.5887 0.9038 0.3849
Sc 0.5962 0.1848 0.4810
Sc 0.5962 0.9113 0.1151
Sc 0.6151 0.4113 0.0962
Sc 0.6151 0.7038 0.5190
Sc 0.6848 0.0887 0.7038
Sc 0.6848 0.0962 0.9810
Sc 0.7038 0.5190 0.6151
Sc 0.7038 0.6848 0.0887
Sc 0.7962 0.4113 0.8152
Sc 0.7962 0.8849 0.9810
Sc 0.8152 0.5190 0.4038
Sc 0.8152 0.7962 0.4113
Sc 0.8849 0.4038 0.0887
Sc 0.8849 0.9810 0.7962
Sc 0.9038 0.0190 0.3152
Sc 0.9038 0.3849 0.5887
Sc 0.9113 0.1151 0.5962
Sc 0.9113 0.2962 0.3152
Sc 0.9810 0.6848 0.0962
Sc 0.9810 0.7962 0.8849
Pt 0.1250 0.2500 0.3750
Pt 0.1250 0.3750 0.7500
Pt 0.2500 0.3750 0.1250
Pt 0.2500 0.8750 0.6250
Pt 0.3750 0.1250 0.2500
Pt 0.3750 0.7500 0.1250
Pt 0.6250 0.2500 0.8750
Pt 0.6250 0.8750 0.7500
Pt 0.7500 0.1250 0.3750
Pt 0.7500 0.6250 0.8750
Pt 0.8750 0.6250 0.2500
Pt 0.8750 0.7500 0.6250
O 0.0000 0.0000 0.0000
O 0.0000 0.0000 0.5000
O 0.0000 0.5000 0.0000
O 0.0000 0.5000 0.5000
O 0.1250 0.7500 0.8750
O 0.1250 0.8750 0.2500
O 0.2500 0.1250 0.8750
O 0.2500 0.6250 0.3750
O 0.3750 0.2500 0.6250
O 0.3750 0.6250 0.7500
O 0.5000 0.0000 0.0000
O 0.5000 0.0000 0.5000
O 0.5000 0.5000 0.0000
O 0.5000 0.5000 0.5000
O 0.6250 0.3750 0.2500
O 0.6250 0.7500 0.3750
O 0.7500 0.3750 0.6250
O 0.7500 0.8750 0.1250
O 0.8750 0.1250 0.7500
O 0.8750 0.2500 0.1250

=====

Material: Sc12Pt5O2
Method: DFT, PBE-GGA
State: optimized geometry

Output
Its space group is C2/m, No. 12. The calculation puts the size of the total moment at 0.0 μB/cell. As for the total DFT energy (no corrections): -7.322 eV per atom. The formation energy from raw total energies comes out at -1.211 eV per atom.

Cell lengths 8.1567, 8.1567, 8.1133 Å; angles 104.51, 104.51, 48.78 degrees
Atoms (fractional coordinates):
Sc 0.0010 0.0010 0.1954
Sc 0.0917 0.5843 0.9104
Sc 0.1081 0.6012 0.4337
Sc 0.3988 0.8919 0.5663
Sc 0.4157 0.9083 0.0896
Sc 0.4960 0.4960 0.1743
Sc 0.5040 0.5040 0.8257
Sc 0.5843 0.0917 0.9104
Sc 0.6012 0.1081 0.4337
Here the page continues:


Although the selection mechanism in Eclipse 3.x uses ISelection interfaces (almost always IStructuredSelection), the E4 selection service permits objects to be set directly. This also allows the type of the object to be selectively filtered when received. In Eclipse 3.x, the viewer would set the selectionProvider on the viewPart, which would handle the selection changes automatically.